i want another fish


can you guys tell me what would go well with what i have right now
12g nano
20lbs sand
12lbs live rock
1 6 line wrasse
1 cleaner shrimp
1 emerald crab
7 snails
6 hermits
and some assorted coral
i kinda like some sort of blenny. the ones i've seen at ***** like to perch on the rocks and plants. i just think it looks cool. would a certain type be better than others. or would a different fish be best?


Active Member
Just research what each kind of blenny eats what. Like if you get a scooter blenny it might not do that well as it eats copepods and your tank is still fairly new. Blennies are awesome I like them alot too!


Active Member
I like both the bi-color blenny, and the flame tail. though they like a little hiddy hole to back into.
what about a clown gobie.


well i actually went and got a lawnmower blenny. i got i'm because of what i read about him eating hair algae. i never seem to have a problem with it except when i add anything new from the lfs (doesn't matter which one). and no one else suggested anything for me to read up on


Active Member
A lawnmower blenny will get too big for that tank.... Not to mention he will eat the algae and you will have to put algae sheets in the tank. I would see if they will exchange him for something else. I would think more about maybe an orange banded goby with a shrimp to pair with or maybe a bi-color blenny.


another shrimp? is there something wrong with having to put in algae sheets in the tank? it says the same size on all the blennies i looked at.

30-xtra high

Active Member
a 12 is way to small for a sixline, i'm not gunna sit here and yell, but just lettin you know, it'll stunt it's growth unhealthily, but i'd suggest a firefish?


Active Member
Originally Posted by dempseyjosh
well the six line is pretty small why does it need such a big tank?
After a while it will get quite big, and require swimming room as well. Just make sure he doesnt get very cramped in there. Once he reaches a too large of a size, maybe your LFS will take him for a store credit and you can get something smaller again.


Active Member
I had a LMB in my 10 gal and that lasted all about 2 weeks. He ate everything off just beautifully and then would not eat any type of algae sheets, pellets etc I offered him. He started to get skinny and before he got to the point of being to bad I returned him and my LFS took him home to her 92 gal tank. So don't get one of these, they are very darling but need a much bigger tank.
Bicolor blenny is cute, I have had 2 of these guys neither with very much luck. One just got really big and fat and died and the other one my baby lionfish I am sure had for dinner at the time.
I can honestly say that the two I had for some reason I found to be quite aggressive towards other fish. But this was just my experience. Both these were in a 25 gal tank.


well i already went and got the blenny monday night. so it's been a few days. he did look much smaller in the store, but thats because he was in a bigger tank. as far as i can tell he is doing fine so far.


Active Member
Your tank will not be able to sustain his diet needs for long. If you cannot get it to eat the algae sheets be prepared to trade him in for another kind of blenny as he will just starve to death.


well i'm gonna put a sheet in there tonight and see how it goes. do all blennys perch on the rock? that is mainly why i got this guy. are there any other suggestions for another type of fish?


Active Member
Originally Posted by dempseyjosh
well i'm gonna put a sheet in there tonight and see how it goes. do all blennys perch on the rock? that is mainly why i got this guy. are there any other suggestions for another type of fish?
Most of them do perch on the rocks, the blennies and gobies are so fun to watch with their funny ways. I just find them not very hardy to keep, I don't know why but that is just me.
Are you wanting to add another fish with the blenny and wrasse you already have??

Between two parts of the text: calculated crystals:
=====
AcNpS4: optimized geometry, GGA-PBE.

## Properties
Calculated density = 6.55 g/cm3
Formation energy without anion corrections = -1277.2 meV per atom

```
AcNpS4
1.0
5.8736 0.0000 0.0000
0.0000 6.7941 0.0000
0.0000 0.0000 7.5246
Ac Np S
2 2 8
direct
0.0000 0.0000 0.0000
0.5000 0.5000 0.0000
0.0000 0.0000 0.5000
0.5000 0.5000 0.5000
0.2493 0.2504 0.2727
0.2493 0.2504 0.7273
0.2507 0.7504 0.2727
0.2507 0.7504 0.7273
0.7493 0.2496 0.2727
0.7493 0.2496 0.7273
0.7507 0.7496 0.2727
0.7507 0.7496 0.7273
```

* * * * *

1.
This record from Alexandria via LeMat-Bulk describes a relaxed structure of CoTc2As. The functional is PBE.

Unit cell a=8.381 b=8.381 c=8.381 alpha=19.19 beta=19.19 gamma=19.19
Positions (direct):
Co 0.000 0.000 0.000
Tc 0.504 0.504 0.504
Tc 0.752 0.752 0.752
As 0.260 0.260 0.260

Values from the calculation:
Its space group is R3m, No. 160. The calculation puts the formation energy at 0.1284 eV per atom. The value obtained for the total energy is -7.993 eV/atom. For the volume, the calculation gives 55.6 Å³/f.u. The value obtained for the density of states at the Fermi level is 3.3 states/eV/cell.

***

2.
This record from Alexandria via LeMat-Bulk describes a relaxed structure of CoTc3As. The functional is PBE.

Unit cell a=4.495 b=4.495 c=4.495 alpha=90.00 beta=90.00 gamma=90.00
Positions (direct):
Co 0.000 0.000 0.000
Tc 0.000 0.500 0.500
Tc 0.500 0.000 0.500
Tc 0.500 0.500 0.000
As 0.500 0.500 0.500

Values from the calculation:
For the offset from the most stable computed form, the calculation gives 0.054 eV per atom. Its space group is Pm-3m, No. 221. The calculation puts the formation energy at 1.4026 eV per atom. The value obtained for the total energy is -7.168 eV/atom. For the volume, the calculation gives 90.8 Å³/f.u. The value obtained for the density of states at the Fermi level is 8.5 states/eV/cell.

***

3.
This record from Alexandria via LeMat-Bulk describes a relaxed structure of CoTcAs4. The functional is PBE.

Unit cell a=5.319 b=5.319 c=5.319 alpha=60.00 beta=60.00 gamma=60.00
Positions (direct):
Co 0.000 0.000 0.000
Tc 0.750 0.750 0.750
As 0.375 0.375 0.375
As 0.375 0.375 0.875
As 0.375 0.875 0.375
As 0.875 0.375 0.375

Values from the calculation:
For the offset from the most stable computed form, the calculation gives 1.008 eV per atom. Its space group is F-43m, No. 216. The calculation puts the formation energy at 0.9833 eV per atom. The value obtained for the total energy is -5.028 eV/atom. For the volume, the calculation gives 106.4 Å³/f.u. The value obtained for the density of states at the Fermi level is 7.5 states/eV/cell.

* * * * *

Record 1
# Ta2Nb2W7

A geometry-optimized Ta2Nb2W7 structure (GGA-PBE, the Alexandria database).

Computed properties:
DOS at the Fermi energy, states/eV/atom: 1.0654
E_form, kJ/mol of formula units: 491.5
Uncorrected energy, eV per atom: -11.766
Symmetry: C2/m, No. 12

abc: 5.5335 5.5335 6.9229
angles: 96.08 96.08 110.02
With the nearest neighbours (Å) after each atom.
=====


nope, i am pretty much stocked how i want to be. the shrimp is cool to watch and feed. the wrasse is always swimming, and i like watching the blenny